Source code for sensirion_i2c_sht.shtc3.commands

# -*- coding: utf-8 -*-
# (c) Copyright 2021 Sensirion AG, Switzerland

from __future__ import absolute_import, division, print_function

********
No. 1
{"formula": "PmHoMg", "functional": "GGA-PBE", "state": "relaxed", "final_energy_ev_per_atom": -3.218, "polymorph_energy_ev_per_atom": 0.0000, "total_magnetization_mub_per_cell": 0.4, "lattice": [[0.000, 3.724, 3.724], [3.724, 0.000, 3.724], [3.724, 3.724, 0.000]], "species": ["Pm", "Ho", "Mg"], "fractional_positions": [[0.000, 0.000, 0.000], [0.500, 0.500, 0.500], [0.750, 0.750, 0.750]]}

=====

No. 2
{"formula": "PrHoMg", "functional": "GGA-PBE", "state": "relaxed", "final_energy_ev_per_atom": -3.244, "polymorph_energy_ev_per_atom": 0.0000, "total_magnetization_mub_per_cell": 0.4, "lattice": [[0.000, 3.749, 3.749], [3.749, 0.000, 3.749], [3.749, 3.749, 0.000]], "species": ["Pr", "Ho", "Mg"], "fractional_positions": [[0.000, 0.000, 0.000], [0.500, 0.500, 0.500], [0.750, 0.750, 0.750]]}

=====

No. 3
{"formula": "Pr2HoMg3Pt3", "functional": "GGA-PBE", "state": "relaxed", "final_energy_ev_per_atom": -5.016, "total_magnetization_mub_per_cell": 0.0, "lattice": [[4.120, 0.000, 0.000], [0.000, 6.491, 3.751], [0.000, -6.491, 3.751]], "species": ["Pr", "Pr", "Ho", "Mg", "Mg", "Mg", "Pt", "Pt", "Pt"], "fractional_positions": [[0.000, 0.207, 0.793], [0.000, 0.793, 0.207], [0.000, 0.613, 0.613], [0.500, 0.210, 0.448], [0.500, 0.448, 0.210], [0.500, 0.962, 0.962], [0.000, 0.215, 0.215], [0.500, 0.543, 0.863], [0.500, 0.863, 0.543]]}

=====

No. 4
{"formula": "PrHoMg2Sn2", "functional": "GGA-PBE", "state": "relaxed", "final_energy_ev_per_atom": -3.988, "total_magnetization_mub_per_cell": 0.0, "lattice": [[-2.231, 2.231, 8.037], [2.231, -2.231, 8.037], [2.231, 2.231, -8.037]], "species": ["Pr", "Ho", "Mg", "Mg", "Sn", "Sn"], "fractional_positions": [[0.000, 0.000, 0.000], [0.332, 0.332, 0.000], [0.168, 0.668, 0.500], [0.668, 0.168, 0.500], [0.532, 0.532, 0.000], [0.801, 0.801, 0.000]]}

=====

No. 5
{"formula": "Pr2HoMg4Tl2", "functional": "GGA-PBE", "state": "relaxed", "final_energy_ev_per_atom": -3.040, "total_magnetization_mub_per_cell": 0.0, "lattice": [[4.754, 0.000, 0.000], [0.000, 6.592, 3.886], [0.000, -6.592, 3.886]], "species": ["Pr", "Pr", "Ho", "Mg", "Mg", "Mg", "Mg", "Tl", "Tl"], "fractional_positions": [[0.000, 0.214, 0.786], [0.000, 0.786, 0.214], [0.000, 0.647, 0.647], [0.000, 0.226, 0.226], [0.500, 0.217, 0.460], [0.500, 0.460, 0.217], [0.500, 0.977, 0.977], [0.500, 0.551, 0.876], [0.500, 0.876, 0.551]]}

=====

No. 6
{"formula": "PrHo2Mg4Tl2", "functional": "GGA-PBE", "state": "relaxed", "final_energy_ev_per_atom": -3.003, "total_magnetization_mub_per_cell": 0.0, "lattice": [[4.698, 0.000, 0.000], [0.000, 6.669, 3.774], [0.000, -6.669, 3.774]], "species": ["Pr", "Ho", "Ho", "Mg", "Mg", "Mg", "Mg", "Tl", "Tl"], "fractional_positions": [[0.000, 0.000, 0.000], [0.000, 0.429, 0.864], [0.000, 0.864, 0.429], [0.000, 0.441, 0.441], [0.500, 0.191, 0.432], [0.500, 0.432, 0.191], [0.500, 0.676, 0.676], [0.500, 0.099, 0.758], [0.500, 0.758, 0.099]]}

=====

No. 7
********

import logging
from struct import unpack

(Attached: materials data)
- - -
12
Lattice="9.008 0.000 0.000 0.000 3.877 0.000 -3.750 0.000 8.888" Properties=species:S:1:pos:R:3 comment="KScCuSe3 PBE-GGA optimized geometry" sg="P2_1/m (11)" total_magnetization_mub_per_fu=0.00 dos_at_fermi_per_ev_atom=0.49 raw_formation_energy_ev_per_fu=-6.7 density_g_cm3=4.1 dft_energy_ev_per_atom=-4.786 volume_a3_per_cell=310.4 pbc="T T T"
K 1.018 0.969 2.127
K 4.239 2.908 6.761
Sc -0.275 2.908 7.603
Sc 5.533 0.969 1.285
Cu -1.506 0.969 5.319
Cu 6.764 2.908 3.569
Se -2.164 0.969 7.645
Se -0.106 2.908 4.797
Se 3.617 2.908 1.411
Se 1.641 0.969 7.477
Se 5.364 0.969 4.092
Se 7.422 2.908 1.243
- - -

from sensirion_i2c_driver import SensirionI2cCommand, CrcCalculator
from .response_types import Shtc3Temperature, Shtc3Humidity

log = logging.getLogger(__name__)

[docs]class Shtc3I2cCmdBase(SensirionI2cCommand): """ shtc3 I²C base command. """
[docs] def __init__(self, command, tx_data, rx_length, read_delay, timeout, post_processing_time=0.0): """ Constructs a new shtc3 I²C command. :param int/None command: The command ID to be sent to the device. None means that no command will be sent, i.e. only ``tx_data`` (if not None) will be sent. No CRC is added to these bytes since the command ID usually already contains a CRC. :param bytes-like/list/None tx_data: Bytes to be extended with CRCs and then sent to the I²C device. None means that no write header will be sent at all (if ``command`` is None too). An empty list means to send the write header (even if ``command`` is None), but without data following it. :param int/None rx_length: Number of bytes to be read from the I²C device, including CRC bytes. None means that no read header is sent at all. Zero means to send the read header, but without reading any data. :param float read_delay: Delay (in Seconds) to be inserted between the end of the write operation and the beginning of the read operation. This is needed if the device needs some time to prepare the RX data, e.g. if it has to perform a measurement. Set to 0.0 to indicate that no delay is needed, i.e. the device does not need any processing time. :param float timeout: Timeout (in Seconds) to be used in case of clock stretching. If the device stretches the clock longer than this value, the transceive operation will be aborted with a timeout error. Set to 0.0 to indicate that the device will not stretch the clock for this command. :param float post_processing_time: Maximum time in seconds the device needs for post processing of this command until it is ready to receive the next command. For example after a device reset command, the device might need some time until it is ready again. Usually this is 0.0s, i.e. no post processing is needed. """ super(Shtc3I2cCmdBase, self).__init__( command=command, tx_data=tx_data, rx_length=rx_length, read_delay=read_delay, timeout=timeout, crc=CrcCalculator(8, 0x31, 0xFF, 0x00), command_bytes=2, post_processing_time=post_processing_time, )
[docs]class Shtc3I2cCmdMeasureNormalModeTicksClockStretching(Shtc3I2cCmdBase): """ Measure Normal Mode Ticks Clock Stretching I²C Command Measure in normal mode with clock stretching enabled. """
[docs] def __init__(self): """ Constructor. """ super(Shtc3I2cCmdMeasureNormalModeTicksClockStretching, self).__init__( command=0x7CA2, tx_data=None, rx_length=6, read_delay=0.013, timeout=0, post_processing_time=0.0, )
[docs] def interpret_response(self, data): """ Validates the CRCs of the received data from the device and returns the interpreted data. :param bytes data: Received raw bytes from the read operation. :return: - temperature (:py:class:`~sensirion_i2c_sht.shtc3.response_types.Shtc3xTemperature`) - Temperature response object. - humidity (:py:class:`~sensirion_i2c_sht.shtc3.response_types.Shtc3Humidity`) - Humidity response object. :rtype: tuple :raise ~sensirion_i2c_driver.errors.I2cChecksumError: If a received CRC was wrong. """ # check and remove CRCs checked_data = Shtc3I2cCmdBase.interpret_response(self, data) # convert raw received data into proper data types temperature_ticks = int(unpack(">H", checked_data[0:2])[0]) # uint16 humidity_ticks = int(unpack(">H", checked_data[2:4])[0]) # uint16 return Shtc3Temperature(temperature_ticks), Shtc3Humidity(humidity_ticks)
[docs]class Shtc3I2cCmdMeasureLowestPowerModeTicksClockStretching(Shtc3I2cCmdBase): """ Measure Lowest Power Mode Ticks Clock Stretching I²C Command Measure in low power mode with clock stretching enabled. """
[docs] def __init__(self): """ Constructor. """ super(Shtc3I2cCmdMeasureLowestPowerModeTicksClockStretching, self).__init__( command=0x6458, tx_data=None, rx_length=6, read_delay=0.001, timeout=0, post_processing_time=0.0, )
[docs] def interpret_response(self, data): """ Validates the CRCs of the received data from the device and returns the interpreted data. :param bytes data: Received raw bytes from the read operation. :return: - temperature (:py:class:`~sensirion_i2c_sht.shtc3.response_types.Shtc3xTemperature`) - Temperature response object. - humidity (:py:class:`~sensirion_i2c_sht.shtc3.response_types.Shtc3Humidity`) - Humidity response object. :rtype: tuple :raise ~sensirion_i2c_driver.errors.I2cChecksumError: If a received CRC was wrong. """ # check and remove CRCs checked_data = Shtc3I2cCmdBase.interpret_response(self, data) # convert raw received data into proper data types temperature_ticks = int(unpack(">H", checked_data[0:2])[0]) # uint16 humidity_ticks = int(unpack(">H", checked_data[2:4])[0]) # uint16 return Shtc3Temperature(temperature_ticks), Shtc3Humidity(humidity_ticks)
[docs]class Shtc3I2cCmdMeasureNormalModeTicks(Shtc3I2cCmdBase): """ Measure Normal Mode Ticks I²C Command Measure in normal mode with clock stretching disabled. """
[docs] def __init__(self): """ Constructor. """ super(Shtc3I2cCmdMeasureNormalModeTicks, self).__init__( command=0x7866, tx_data=None, rx_length=6, read_delay=0.013, timeout=0, post_processing_time=0.0, )
[docs] def interpret_response(self, data): """ Validates the CRCs of the received data from the device and returns the interpreted data. :param bytes data: Received raw bytes from the read operation. :return: - temperature (:py:class:`~sensirion_i2c_sht.shtc3.response_types.Shtc3xTemperature`) - Temperature response object. - humidity (:py:class:`~sensirion_i2c_sht.shtc3.response_types.Shtc3Humidity`) - Humidity response object. :rtype: tuple :raise ~sensirion_i2c_driver.errors.I2cChecksumError: If a received CRC was wrong. """ # check and remove CRCs checked_data = Shtc3I2cCmdBase.interpret_response(self, data) # convert raw received data into proper data types temperature_ticks = int(unpack(">H", checked_data[0:2])[0]) # uint16 humidity_ticks = int(unpack(">H", checked_data[2:4])[0]) # uint16 return Shtc3Temperature(temperature_ticks), Shtc3Humidity(humidity_ticks)
[docs]class Shtc3I2cCmdMeasureLowestPowerModeTicks(Shtc3I2cCmdBase): """ Measure Lowest Power Mode Ticks I²C Command Measure in low power mode with clock stretching disabled. """
[docs] def __init__(self): """ Constructor. """ super(Shtc3I2cCmdMeasureLowestPowerModeTicks, self).__init__( command=0x609C, tx_data=None, rx_length=6, read_delay=0.001, timeout=0, post_processing_time=0.0, )
[docs] def interpret_response(self, data): """ Validates the CRCs of the received data from the device and returns the interpreted data. :param bytes data: Received raw bytes from the read operation. :return: - temperature (:py:class:`~sensirion_i2c_sht.shtc3.response_types.Shtc3xTemperature`) - Temperature response object. - humidity (:py:class:`~sensirion_i2c_sht.shtc3.response_types.Shtc3Humidity`) - Humidity response object. :rtype: tuple :raise ~sensirion_i2c_driver.errors.I2cChecksumError: If a received CRC was wrong. """ # check and remove CRCs checked_data = Shtc3I2cCmdBase.interpret_response(self, data) # convert raw received data into proper data types temperature_ticks = int(unpack(">H", checked_data[0:2])[0]) # uint16 humidity_ticks = int(unpack(">H", checked_data[2:4])[0]) # uint16 return Shtc3Temperature(temperature_ticks), Shtc3Humidity(humidity_ticks)
[docs]class Shtc3I2cCmdProductId(Shtc3I2cCmdBase): """ Product Id I²C Command Read out the product id. .. note:: The SHTC3 has an ID register which contains an SHTC3- specific product code. The read-out of the ID register can be used to verify the presence of the sensor and proper communication. """
[docs] def __init__(self): """ Constructor. """ super(Shtc3I2cCmdProductId, self).__init__( command=0xEFC8, tx_data=None, rx_length=3, read_delay=0.001, timeout=0, post_processing_time=0.0, )
[docs] def interpret_response(self, data): """ Validates the CRCs of the received data from the device and returns the interpreted data. :param bytes data: Received raw bytes from the read operation. :return: SHTC3-specific product code :rtype: int :raise ~sensirion_i2c_driver.errors.I2cChecksumError: If a received CRC was wrong. """ # check and remove CRCs checked_data = Shtc3I2cCmdBase.interpret_response(self, data) # convert raw received data into proper data types product_id = int(unpack(">H", checked_data[0:2])[0]) & 0x083F # uint16 return product_id
[docs]class Shtc3I2cCmdSoftReset(Shtc3I2cCmdBase): """ Soft Reset I²C Command Perform a soft reset. reset all internal state machines and reload calibration data from the memory. .. note:: A reset of the sensor can be achieved in three ways: • Soft reset: use this function • I2C general call: all devices on the I2C bus are reset by sending the command 0x06 to the I2C address 0x00. • Power down (incl.pulling SCL and SDA low) """
[docs] def __init__(self): """ Constructor. """ super(Shtc3I2cCmdSoftReset, self).__init__( command=0x805D, tx_data=None, rx_length=None, read_delay=0.0, timeout=0, post_processing_time=0.001, )
[docs]class Shtc3I2cCmdWakeUp(Shtc3I2cCmdBase): """ Wake Up I²C Command Wake-up command of the sensor. .. note:: When the sensor is in sleep mode, it requires the wake-up command before any further communication """
[docs] def __init__(self): """ Constructor. """ super(Shtc3I2cCmdWakeUp, self).__init__( command=0x3517, tx_data=None, rx_length=None, read_delay=0.0, timeout=0, post_processing_time=0.001, )
[docs]class Shtc3I2cCmdSleep(Shtc3I2cCmdBase): """ Sleep I²C Command Sleep command of the sensor. .. note:: Upon VDD reaching the power-up voltage level V_POR , the SHTC3 enters the idle state after a duration of 240us. After that, the sensor should be set to sleep. """
[docs] def __init__(self): """ Constructor. """ super(Shtc3I2cCmdSleep, self).__init__( command=0xB098, tx_data=None, rx_length=None, read_delay=0.0, timeout=0, )